A year after the starting fight for legal personhood for
the research chimpanzees Hercules and Leo, the apes and their lawyers got their
day in court. At a hearing in Manhattan on Wednesday, a judge heard arguments
in the landmark lawsuit against Stony Brook University, with a decision
expected later this summer. At stake: the question of whether only human beings
deserve human rights.
A decision could set a precedent for challenging, under
human law, the captivity of other chimpanzees—and perhaps other species. It’s a
radical notion, and many legal experts doubted whether the lawsuit, one of
several filed late in 2013 by the Nonhuman Rights Project, would ever reach
But Justice Barbara Jaffe decided to consider the
arguments. “The law evolves according to new discoveries and social mores,” she
said while presiding over the hearing. “Isn’t it incumbent on judiciaries to at
least consider whether a class of beings may be granted a right?”
Jaffe posed that question to New York assistant attorney
general Christopher Coulston, who represented the university, where the two
chimps are housed. Coulston had argued that Jaffe was bound by the previous
decisions of two appellate courts, which had ruled that other Nonhuman Rights
Project chimps didn’t qualify for habeas corpus, the legal principle that
protects people from illegal imprisonment.
Both those decisions are controversial. In one, judges
decided that habeas corpus didn’t apply because the chimp would be transferred
from one form of captivity to another—in this case, a sanctuary. But
illegally-held human prisoners have been released to mental hospitals, and
juveniles into the care of guardians.
In the other appeals court decision, judges declared that
chimps are not legal persons because they can’t fulfill duties to human
society. But that rationale arguably denies personhood to young children and
mentally incapacitated individuals, as several high-profile legal scholars,
including Constitutional law expert Laurence Tribe, pointed out. He filed a
brief on behalf of the Nonhuman Rights Project, saying the court “reached its
conclusion on the basis of a fundamentally flawed definition of legal
**Next to the text, the page also holds crystal structures**
'''
Model A:
# Sr3Ca5Mn8O20

Crystalline Sr3Ca5Mn8O20 at its relaxed geometry (PBE with a Hubbard U, the Materials Project).

Output
Space group: No. 1

Cell lengths 11.2069, 15.5713, 11.1954 Å; angles 90.34, 91.12, 90.27 degrees
Fractional coordinates of all 144 atoms:
Ca: 0.5440 0.6296 0.4875
Ca: 0.7787 0.1206 0.7539
Ca: 0.2314 0.6192 0.7481
Ca: 0.9584 0.3853 0.4995
Ca: 0.9572 0.3842 0.0013
Ca: 0.7618 0.3758 0.7558
Ca: 0.7541 0.8737 0.7541
Ca: 0.5464 0.6296 0.9856
Ca: 0.7645 0.3757 0.2574
Ca: 0.5137 0.8733 0.4970
Ca: 0.7817 0.6199 0.7559
Ca: 0.2223 0.8897 0.7664
Ca: 0.7782 0.6202 0.2511
Ca: 0.5455 0.1293 0.9846
Ca: 0.0016 0.6110 0.0045
Ca: 0.9585 0.8839 0.0017
Ca: 0.5444 0.1295 0.4844
Ca: 0.7631 0.8766 0.2564
Ca: 0.7791 0.1206 0.2514
Ca: 0.9575 0.8836 0.4994
O: 0.7528 0.1243 0.5409
O: 0.3505 0.0007 0.6680
O: 0.6570 0.2250 0.3575
O: 0.6238 0.0252 0.8500
O: 0.9965 0.1269 0.7259
O: 0.7551 0.6264 0.0403
O: 0.8802 0.0120 0.8856
O: 0.7436 0.8746 0.9648
O: 0.6219 0.5247 0.3548
O: 0.1482 0.0046 0.8731
O: 0.1462 0.2483 0.3345
O: 0.3599 0.5124 0.1468
O: 0.6275 0.0284 0.3491
O: 0.2312 0.6303 0.5413
O: 0.1418 0.7464 0.3404
O: 0.5885 0.7523 0.1051
O: 0.0963 0.4750 0.6190
O: 0.9932 0.3753 0.2889
O: 0.3619 0.0025 0.1542
O: 0.4036 0.7020 0.3618
O: 0.6553 0.7212 0.3553
O: 0.7419 0.3754 0.4688
O: 0.4797 0.3734 0.7693
O: 0.2980 0.8735 0.4935
O: 0.7557 0.1253 0.0377
O: 0.8596 0.7732 0.6453
O: 0.8608 0.2731 0.1437
O: 0.4841 0.8704 0.7743
O: 0.9935 0.8740 0.2893
O: 0.0983 0.9716 0.6214
O: 0.9923 0.3764 0.7918
O: 0.2835 0.3755 0.9936
O: 0.2147 0.6320 0.0283
O: 0.1618 0.7514 0.8026
O: 0.8486 0.9798 0.6374
O: 0.8943 0.2399 0.9078
O: 0.8500 0.4813 0.1376
O: 0.8939 0.2396 0.4083
O: 0.8867 0.5151 0.8917
O: 0.9976 0.1270 0.2278
O: 0.2837 0.8723 0.9851
O: 0.2865 0.3750 0.4999
O: 0.8528 0.9819 0.1359
O: 0.8912 0.7403 0.4079
O: 0.9955 0.8730 0.7937
O: 0.8606 0.2735 0.6440
O: 0.0962 0.4775 0.1169
O: 0.6569 0.2249 0.8580
O: 0.5905 0.7555 0.5958
O: 0.1543 0.5080 0.3732
O: 0.8812 0.5131 0.3855
O: 0.7355 0.8754 0.4655
O: 0.8557 0.4830 0.6447
O: 0.6295 0.5256 0.8551
O: 0.5931 0.2504 0.6018
O: 0.3553 0.5125 0.6625
O: 0.7414 0.3762 0.9656
O: 0.6038 0.9999 0.0937
O: 0.6602 0.7265 0.8580
O: 0.7539 0.6278 0.5421
O: 0.9073 0.7340 0.9157
O: 0.2357 0.1281 0.0311
O: 0.6038 0.5016 0.5962
O: 0.1006 0.9755 0.1212
O: 0.6049 0.5011 0.0942
O: 0.5942 0.9964 0.5867
O: 0.2387 0.1274 0.5331
O: 0.8803 0.0104 0.3863
O: 0.9988 0.6264 0.7264
O: 0.8575 0.7745 0.1463
O: 0.4046 0.2043 0.3619
O: 0.4751 0.3733 0.2699
O: 0.9948 0.6279 0.2185
O: 0.4831 0.8741 0.2879
O: 0.4044 0.2047 0.8630
O: 0.1489 0.5101 0.8643
O: 0.1534 0.0035 0.3763
O: 0.1446 0.2488 0.8344
O: 0.5934 0.2508 0.1025
O: 0.4024 0.6891 0.8568
Mn: 0.7471 0.5030 0.9985
Mn: 0.7461 0.5040 0.4991
Mn: 0.9886 0.7517 0.2604
Mn: 0.7469 0.0019 0.9972
Mn: 0.9943 0.7512 0.7614
Mn: 0.9906 0.2523 0.2615
Mn: 0.7552 0.2474 0.5041
Mn: 0.7553 0.2481 0.0031
Mn: 0.9943 0.9951 0.2515
Mn: 0.7598 0.7472 0.0022
Mn: 0.5082 0.4958 0.7378
Mn: 0.9933 0.4970 0.2501
'''
In fact, Nonhuman Rights Project attorney Steven Wise
argued, New York law only requires judges to follow appeals court decisions
involving settled legal principles—which animal personhood is not. That set the
stage for the pivotal question: What is the basis of legal personhood? Wise
said it’s rooted in the tremendous value placed by American society and New
York law on liberty, which is synonymous with autonomy. “The purpose of the
writ of habeas corpus isn’t to protect a human being,” he said. “It’s to
protect autonomy.”
By that standard, Wise said, chimpanzees qualify. “Chimps
**Inserted here: crystal structures:**
[1]
DFT (GGA-PBE) results for a relaxed structure of Y2AgRu.

Cell: 4.9819 4.9819 4.9819 Å, 60.00 60.00 60.00°
Positions (direct):
Y (0.2500, 0.2500, 0.2500)
Y (0.7500, 0.7500, 0.7500)
Ag (0.0000, 0.0000, 0.0000)
Ru (0.5000, 0.5000, 0.5000)

- Total DFT energy (no corrections): -6.61 eV per atom

[2]
DFT (GGA-PBE) results for a relaxed structure of Ta3C.

Cell: 5.4482 5.4482 4.7032 Å, 90.00 90.00 120.00°
Positions (direct):
Ta (0.1674, 0.3348, 0.2500)
Ta (0.1674, 0.8326, 0.2500)
Ta (0.3348, 0.1674, 0.7500)
Ta (0.6652, 0.8326, 0.2500)
Ta (0.8326, 0.1674, 0.7500)
Ta (0.8326, 0.6652, 0.7500)
C (0.3333, 0.6667, 0.7500)
C (0.6667, 0.3333, 0.2500)

- Total DFT energy (no corrections): -10.22 eV per atom
- Magnetization: 0.0 μB/cell

[3]
DFT (GGA-PBE) results for a relaxed structure of Tb5Ge4.

Cell: 7.6994 14.7877 7.7758 Å, 90.00 90.00 90.00°
Positions (direct):
Tb (0.0253, 0.1013, 0.1773)
Tb (0.0253, 0.3987, 0.1773)
Tb (0.1230, 0.6168, 0.3396)
Tb (0.1230, 0.8832, 0.3396)
Tb (0.2129, 0.2500, 0.5019)
Tb (0.2871, 0.7500, 0.0019)
Tb (0.3770, 0.1168, 0.8396)
Tb (0.3770, 0.3832, 0.8396)
Tb (0.4747, 0.6013, 0.6773)
Tb (0.4747, 0.8987, 0.6773)
Tb (0.5253, 0.1013, 0.3227)
Tb (0.5253, 0.3987, 0.3227)
Tb (0.6230, 0.6168, 0.1604)
Tb (0.6230, 0.8832, 0.1604)
Tb (0.7129, 0.2500, 0.9981)
Tb (0.7871, 0.7500, 0.4981)
Tb (0.8770, 0.1168, 0.6604)
Tb (0.8770, 0.3832, 0.6604)
Tb (0.9747, 0.6013, 0.8227)
Tb (0.9747, 0.8987, 0.8227)
Ge (0.0826, 0.2500, 0.8843)
Ge (0.1694, 0.7500, 0.6371)
Ge (0.2190, 0.0441, 0.5333)
Ge (0.2190, 0.4559, 0.5333)
Ge (0.2810, 0.5441, 0.0333)
Ge (0.2810, 0.9559, 0.0333)
Ge (0.3306, 0.2500, 0.1371)
Ge (0.4174, 0.7500, 0.3843)
Ge (0.5826, 0.2500, 0.6157)
Ge (0.6694, 0.7500, 0.8629)
Ge (0.7190, 0.0441, 0.9667)
Ge (0.7190, 0.4559, 0.9667)
Ge (0.7810, 0.5441, 0.4667)
Ge (0.7810, 0.9559, 0.4667)
Ge (0.8306, 0.2500, 0.3629)
Ge (0.9174, 0.7500, 0.1157)

- Total DFT energy (no corrections): -5.48 eV per atom

[4]
DFT (GGA-PBE) results for a relaxed structure of HfMg6Mo.

Cell: 5.0448 5.8154 11.2549 Å, 90.00 90.00 90.00°
Positions (direct):
Mg (0.5000, 0.2507, 0.4227)
Mg (0.5000, 0.7493, 0.4227)
Mg (0.0000, 0.2586, 0.5859)
Mg (0.0000, 0.0000, 0.3140)
Mg (0.0000, 0.7586, 0.0859)
Mg (0.0000, 0.5000, 0.3256)
Mg (0.0000, 0.2414, 0.0859)
Mg (0.0000, 0.0000, 0.8256)
Mg (0.5000, 0.2493, 0.9227)
Mg (0.0000, 0.7414, 0.5859)
Mg (0.0000, 0.5000, 0.8140)
Mg (0.5000, 0.7507, 0.9227)
Hf (0.5000, 0.0000, 0.6721)
Hf (0.5000, 0.5000, 0.1721)
Mo (0.5000, 0.5000, 0.6712)
Mo (0.5000, 0.0000, 0.1712)

- Magnetization: 0.0 μB/cell
- Distance to the lowest polymorph of the same formula: 48.1 kJ/mol of formula units

[5]
DFT (GGA-PBE) results for a relaxed structure of LuC2.

Cell: 3.8124 3.8124 3.8124 Å, 124.40 104.39 100.74°
Positions (direct):
Lu (0.0000, 0.0000, 0.0000)
C (0.3598, 0.5000, 0.8598)
C (0.6402, 0.5000, 0.1402)

- Magnetization: 0.0 μB/cell
- Distance to the lowest polymorph of the same formula: 21.1 kJ/mol of formula units

[6]
are autonomous and self-determined beings. They are not governed by instinct,”
he said. “They are self-conscious. They have language, they have mathematics,
they have material and social culture. They are the kinds of beings who can
remember the past and plan for the future.” In a human, argued Wise, those
capacities are grounds for the right to be free.
Coulston marshalled an argument elsewhere made by Richard
Posner, a legal theorist and federal appeals court judge who has written that
legal rights and personhood were designed with only humans in mind. “Those
rights evolved in relation to human interests,” Coulston said. “I worry about
the diminishment of those rights in some way if we expand them beyond human
The cognitive capacities of chimpanzees have been compared
to 5-year-old humans, said Coulston; how would the legal system handle animals
with minds comparable to a 3-year-old, or a 1-year-old? “This becomes a
question of where we’re going,” he said, with chimp personhood opening the
### Crystal structures, as found in the file
/*
1.
BaMg6NbO8 after structural relaxation, computed with PBE-GGA.

Calculated values
SG ... P4/mmm, No. 123
Total energy after the MP2020 corrections ... -6.202 eV/atom
ΔE_f ... -3669 kJ/mol of formula units
Calculated density ... 4.16 Mg/m³
Relative energy among the computed polymorphs ... 64 meV per atom

abc: 9.136 4.691 4.691
angles: 90.00 90.00 90.00
Positions (direct):
O: 0.000 0.000 0.500
Mg: 0.259 0.500 0.000
Mg: 0.000 0.500 0.500
Mg: 0.741 0.000 0.500
Mg: 0.741 0.500 0.000
Nb: 0.500 0.000 0.000
Mg: 0.259 0.000 0.500
Ba: 0.000 0.000 0.000
O: 0.728 0.000 0.000
O: 0.272 0.000 0.000
O: 0.500 0.000 0.500
O: 0.000 0.500 0.000
O: 0.500 0.500 0.000
O: 0.253 0.500 0.500
Mg: 0.500 0.500 0.500
O: 0.747 0.500 0.500

2.
NaNp3 after structural relaxation, computed with PBE-GGA.

Calculated values
SG ... I4/mmm, No. 139
ΔE_f ... 421 kJ/mol of formula units
Calculated density ... 12.96 Mg/m³

abc: 5.438 5.438 5.438
angles: 129.21 129.21 74.67
Positions (direct):
Np: 0.250 0.750 0.500
Np: 0.750 0.250 0.500
Np: 0.500 0.500 0.000
Na: 0.000 0.000 0.000

3.
Sb2ClF17 after structural relaxation, computed with PBE-GGA.

Calculated values
SG ... P2_1/c, No. 14
Total energy after the MP2020 corrections ... -4.029 eV/atom
ΔE_f ... -3659 kJ/mol of formula units
Calculated density ... 3.18 Mg/m³

abc: 8.579 12.026 15.987
angles: 49.60 90.00 90.00
Positions (direct):
F: 0.891 0.885 0.104
F: 0.930 0.127 0.729
Sb: 0.992 0.920 0.356
F: 0.970 0.441 0.123
F: 0.832 0.544 0.344
Sb: 0.525 0.535 0.155
F: 0.070 0.873 0.271
Cl: 0.000 0.500 0.000
F: 0.968 0.121 0.232
F: 0.468 0.879 0.268
Sb: 0.492 0.080 0.144
F: 0.087 0.060 0.543
Cl: 0.500 0.500 0.500
F: 0.373 0.562 0.886
F: 0.587 0.940 0.957
Sb: 0.008 0.080 0.644
F: 0.212 0.138 0.651
F: 0.530 0.441 0.623
F: 0.873 0.438 0.614
F: 0.288 0.138 0.151
F: 0.021 0.699 0.489
F: 0.609 0.885 0.604
F: 0.391 0.115 0.396
F: 0.699 0.066 0.109
F: 0.788 0.862 0.349
F: 0.127 0.562 0.386
F: 0.376 0.617 0.479
F: 0.913 0.940 0.457
F: 0.982 0.906 0.962
F: 0.082 0.657 0.674
F: 0.109 0.115 0.896
F: 0.430 0.873 0.771
F: 0.441 0.615 0.691
F: 0.137 0.381 0.046
F: 0.363 0.381 0.546
F: 0.030 0.559 0.877
F: 0.482 0.094 0.538
F: 0.979 0.301 0.511
F: 0.863 0.619 0.954
F: 0.032 0.879 0.768
F: 0.627 0.438 0.114
F: 0.714 0.636 0.128
Cl: 0.000 0.000 0.000
F: 0.214 0.364 0.372
F: 0.018 0.094 0.038
F: 0.786 0.636 0.628
F: 0.413 0.060 0.043
F: 0.712 0.862 0.849
F: 0.849 0.094 0.929
F: 0.286 0.364 0.872
F: 0.521 0.301 0.011
F: 0.199 0.934 0.391
F: 0.668 0.544 0.844
F: 0.470 0.559 0.377
Sb: 0.508 0.920 0.856
Sb: 0.475 0.465 0.845
F: 0.332 0.456 0.156
F: 0.918 0.343 0.326
F: 0.151 0.906 0.071
F: 0.637 0.619 0.454
F: 0.518 0.906 0.462
F: 0.059 0.615 0.191
F: 0.876 0.383 0.021
F: 0.801 0.066 0.609
F: 0.941 0.385 0.809
F: 0.570 0.127 0.229
F: 0.301 0.934 0.891
F: 0.582 0.343 0.826
F: 0.124 0.617 0.979
F: 0.479 0.699 0.989
Cl: 0.500 0.000 0.500
F: 0.651 0.094 0.429
F: 0.418 0.657 0.174
F: 0.532 0.121 0.732
F: 0.624 0.383 0.521
Sb: 0.975 0.535 0.655
F: 0.349 0.906 0.571
*/
floodgates to lawsuits on behalf of animals in zoos or on farms, or even pets.
“The great writ is for human beings,” he said, “and I think it should stay
Wise countered by saying that denying freedom to an
autonomous being is itself a diminishment; it could even come back to bite us,
serving as rationale for limiting human freedom. He described the slippery
slope as a separate issue. Freedom—or at least sanctuary—for Hercules and Leo
is something to debate on its own merits, just as rights for any potentially
deserving human should be considered without regard for social inconvenience.
It is true, though, that success could lead to personhood
claims on behalf of other chimps, as well as other great apes, orcas and also
elephants, for whom the Nonhuman Rights Project is now preparing a case. More
than a third of Americans now support rights for animals.
Win or lose, Wise said at a press conference following the
trial, the hearing itself was a victory. “Many human beings have these kinds of
hearings,” he said. Chimpanzees “are now being treated like all the other
autonomous beings of this world.” Whether they’ll continue to get that
treatment will be up to Justice Jaffe. Or, more likely, whoever hears the
almost inevitable appeal of her decision.